## To do
Retype the block underneath from the line with "all 44" to the end without additions.
## Input
# Na5Mn2P2C2O14
Calculated X-ray diffraction stick pattern, Cu Kα X-rays. Input: a structure optimized by DFT (PBE+U).

Largest 6 diffraction maxima, in order of rising 2θ, 10° ≤ 2θ ≤ 90°:
| 2theta | I (rel.) |
| --- | --- |
| 16.44 | 41 |
| 25.89 | 48 |
| 26.58 | 77 |
| 33.22 | 85 |
| 34.19 | 100 |
| 48.58 | 39 |

Structural model:
Cell lengths 5.243, 9.061, 13.417 Å; angles 89.74, 89.86, 89.56 degrees
Fractional coordinates of all 50 atoms:
Na1 0.232 0.230 0.004
Na2 0.240 0.250 0.751
Na3 0.241 0.248 0.245
Na4 0.243 0.920 0.374
Na5 0.247 0.259 0.502
Na6 0.753 0.741 0.498
Na7 0.757 0.080 0.626
Na8 0.759 0.752 0.755
Na9 0.760 0.750 0.249
Na10 0.768 0.770 0.996
Mn1 0.221 0.640 0.626
Mn2 0.227 0.642 0.123
Mn3 0.773 0.358 0.877
Mn4 0.779 0.360 0.374
P1 0.296 0.584 0.372
P2 0.297 0.576 0.877
P3 0.703 0.424 0.123
P4 0.704 0.416 0.628
C1 0.266 0.937 0.624
C2 0.283 0.923 0.126
C3 0.717 0.077 0.874
C4 0.734 0.063 0.376
O1 0.041 0.877 0.624
O2 0.070 0.843 0.123
O3 0.168 0.423 0.880
O4 0.177 0.428 0.373
O5 0.207 0.678 0.462
O6 0.216 0.674 0.277
O7 0.218 0.667 0.785
O8 0.234 0.666 0.972
O9 0.271 0.062 0.131
O10 0.289 0.079 0.624
O11 0.402 0.449 0.127
O12 0.407 0.431 0.626
O13 0.467 0.851 0.623
O14 0.489 0.844 0.126
O15 0.511 0.156 0.874
O16 0.533 0.149 0.377
O17 0.593 0.569 0.374
O18 0.598 0.551 0.873
O19 0.711 0.921 0.376
O20 0.729 0.938 0.869
O21 0.766 0.334 0.028
O22 0.782 0.333 0.215
O23 0.784 0.326 0.723
O24 0.793 0.322 0.538
O25 0.823 0.572 0.627
O26 0.832 0.577 0.120
O27 0.930 0.157 0.877
O28 0.959 0.123 0.376

=====

# NaMnPCO7
Calculated X-ray diffraction stick pattern, Cu Kα X-rays. Input: a structure optimized by DFT (PBE+U).

Largest 6 diffraction maxima, in order of rising 2θ, 10° ≤ 2θ ≤ 90°:
| 2theta | I (rel.) |
| --- | --- |
| 17.14 | 100 |
| 19.53 | 40 |
| 19.65 | 64 |
| 24.28 | 37 |
| 25.73 | 70 |
| 28.54 | 81 |

Structural model:
Cell lengths 8.139, 8.139, 10.547 Å; angles 108.16, 108.16, 100.46 degrees
Fractional coordinates of all 44 atoms:
Na1 0.125 0.875 0.000
Na2 0.200 0.900 0.549
Na3 0.875 0.125 0.000
Na4 0.900 0.200 0.549
Mn1 0.083 0.584 0.124
Mn2 0.216 0.216 0.429
Mn3 0.584 0.083 0.124
Mn4 0.703 0.703 0.426
P1 0.339 0.339 0.200
P2 0.448 0.944 0.341
P3 0.853 0.853 0.219
P4 0.944 0.448 0.341
C1 0.390 0.390 0.687
C2 0.419 0.904 0.865
C3 0.869 0.869 0.687
C4 0.904 0.419 0.865
O1 0.050 0.562 0.923
O2 0.052 0.361 0.437
O3 0.073 0.574 0.304
O4 0.212 0.408 0.100
O5 0.215 0.215 0.244
O6 0.243 0.243 0.630
O7 0.302 0.793 0.199
O8 0.324 0.820 0.735
O9 0.361 0.052 0.437
O10 0.387 0.865 0.971
O11 0.408 0.212 0.100
O12 0.422 0.422 0.580
O13 0.479 0.479 0.817
O14 0.491 0.491 0.335
O15 0.562 0.050 0.923
O16 0.565 0.870 0.443
O17 0.574 0.073 0.304
O18 0.724 0.724 0.251
O19 0.726 0.726 0.625
O20 0.753 0.945 0.122
O21 0.793 0.302 0.199
O22 0.820 0.324 0.735
O23 0.865 0.387 0.971
O24 0.870 0.565 0.443
O25 0.914 0.914 0.589
O26 0.945 0.753 0.122
O27 0.954 0.954 0.821
O28 0.998 0.998 0.365

=====

# NaMnPCO7
Calculated X-ray diffraction stick pattern, Cu Kα X-rays. Input: a structure optimized by DFT (PBE+U).

Largest 6 diffraction maxima, in order of rising 2θ, 10° ≤ 2θ ≤ 90°:
| 2theta | I (rel.) |
| --- | --- |
| 16.67 | 68 |
| 17.57 | 54 |
| 19.49 | 46 |
| 19.68 | 88 |
| 25.27 | 82 |
| 29.00 | 100 |

Structural model:
Cell lengths 5.148, 6.171, 9.584 Å; angles 93.28, 90.56, 91.83 degrees
Fractional coordinates of all 22 atoms:
Na1 0.249 0.066 0.272
Na2 0.751 0.934 0.728
Mn1 0.220 0.243 0.853
Mn2 0.780 0.757 0.147
P1 0.281 0.755 0.939
P2 0.719 0.245 0.061
C1 0.303 0.243 0.605
C2 0.697 0.757 0.395
O1 0.070 0.221 0.661
O2 0.129 0.818 0.072
O3 0.165 0.548 0.862
O4 0.258 0.930 0.827
O5 0.348 0.239 0.479
O6 0.426 0.261 0.025
O7 0.483 0.269 0.706
O8 0.517 0.731 0.294
O9 0.574 0.739 0.975
O10 0.652 0.761 0.521
O11 0.742 0.070 0.173
O12 0.835 0.452 0.138
O13 0.871 0.182 0.928
O14 0.930 0.779 0.339

=====

# Na5Mn2P2C2O14
Calculated X-ray diffraction stick pattern, Cu Kα X-rays. Input: a structure optimized by DFT (PBE+U).
## Outcome
Fractional coordinates of all 44 atoms:
Na1 0.125 0.875 0.000
Na2 0.200 0.900 0.549
Na3 0.875 0.125 0.000
Na4 0.900 0.200 0.549
Mn1 0.083 0.584 0.124
Mn2 0.216 0.216 0.429
Mn3 0.584 0.083 0.124
Mn4 0.703 0.703 0.426
P1 0.339 0.339 0.200
P2 0.448 0.944 0.341
P3 0.853 0.853 0.219
P4 0.944 0.448 0.341
C1 0.390 0.390 0.687
C2 0.419 0.904 0.865
C3 0.869 0.869 0.687
C4 0.904 0.419 0.865
O1 0.050 0.562 0.923
O2 0.052 0.361 0.437
O3 0.073 0.574 0.304
O4 0.212 0.408 0.100
O5 0.215 0.215 0.244
O6 0.243 0.243 0.630
O7 0.302 0.793 0.199
O8 0.324 0.820 0.735
O9 0.361 0.052 0.437
O10 0.387 0.865 0.971
O11 0.408 0.212 0.100
O12 0.422 0.422 0.580
O13 0.479 0.479 0.817
O14 0.491 0.491 0.335
O15 0.562 0.050 0.923
O16 0.565 0.870 0.443
O17 0.574 0.073 0.304
O18 0.724 0.724 0.251
O19 0.726 0.726 0.625
O20 0.753 0.945 0.122
O21 0.793 0.302 0.199
O22 0.820 0.324 0.735
O23 0.865 0.387 0.971
O24 0.870 0.565 0.443
O25 0.914 0.914 0.589
O26 0.945 0.753 0.122
O27 0.954 0.954 0.821
O28 0.998 0.998 0.365

=====

# NaMnPCO7
Calculated X-ray diffraction stick pattern, Cu Kα X-rays. Input: a structure optimized by DFT (PBE+U).

Largest 6 diffraction maxima, in order of rising 2θ, 10° ≤ 2θ ≤ 90°:
| 2theta | I (rel.) |
| --- | --- |
| 16.67 | 68 |
| 17.57 | 54 |
| 19.49 | 46 |
| 19.68 | 88 |
| 25.27 | 82 |
| 29.00 | 100 |

Structural model:
Cell lengths 5.148, 6.171, 9.584 Å; angles 93.28, 90.56, 91.83 degrees
Fractional coordinates of all 22 atoms:
Na1 0.249 0.066 0.272
Na2 0.751 0.934 0.728
Mn1 0.220 0.243 0.853
Mn2 0.780 0.757 0.147
P1 0.281 0.755 0.939
P2 0.719 0.245 0.061
C1 0.303 0.243 0.605
C2 0.697 0.757 0.395
O1 0.070 0.221 0.661
O2 0.129 0.818 0.072
O3 0.165 0.548 0.862
O4 0.258 0.930 0.827
O5 0.348 0.239 0.479
O6 0.426 0.261 0.025
O7 0.483 0.269 0.706
O8 0.517 0.731 0.294
O9 0.574 0.739 0.975
O10 0.652 0.761 0.521
O11 0.742 0.070 0.173
O12 0.835 0.452 0.138
O13 0.871 0.182 0.928
O14 0.930 0.779 0.339

=====

# Na5Mn2P2C2O14
Calculated X-ray diffraction stick pattern, Cu Kα X-rays. Input: a structure optimized by DFT (PBE+U).